Nachum, L. (2000). Economic Geography and the Location of TNCs: Financial and Professional Service FDI to the USA. Journal of International Business Studies, 31(3), 367–385.
Nachum (2000) is a professor of International Business at City University New York. The author has over 1800 citations in over forty papers written between 1994 and today. The research in the publications concerns multinational companies, globalization, international strategy, and topics around emerging markets. In addition, the author has recently published several works concerning business in Africa (Nachum et al., 2022; Nachum & Ogbechie, 2023). The works cover an analysis of Nigeria’s environmental resources and how these are being represented by local banks and the global overlooking of the complex but booming business environment on the African continent.
In referencing the economic geography as it is associated with transnational corporations (TNCs), Nachum (2000, p. 367) explored “the characteristics affecting the location choices of TNCs [which] have traditionally been dominated by reference to the relative abundance of certain immobile assets in particular locations.” This research aims to explain the choice of location by TNCs. The factors of production that are involved with locating a TNC “include intangible assets such as culture, human capital and institutional frameworks” (Nachum, 2000, p. 367). Yet, many such asset classes exist in multiple countries and regions. Consequently, research on economic geography provides alternative methods that may be used in organizing and reporting on economic activity.
-- Attached: calculated crystals --
........
1.
Structure and simulated X-ray diffraction stick pattern of La5Tb3 (a structure optimized by DFT (GGA-PBE); copper Kα).

Principal peaks in the range 2θ = 5–70°, in order of rising 2θ:
2θ/deg  I_rel
29.8  100
34.4  34
35.0  16
49.4  12
49.9  24
58.8  29
59.6  14
62.0  12

abc: 5.130 5.213 10.435
angles: 90.00 90.00 90.00
Positions (direct):
La  0.000  0.000  0.000
La  0.000  0.000  0.500
La  0.000  0.500  0.247
La  0.000  0.500  0.753
La  0.500  0.500  0.500
Tb  0.500  0.000  0.247
Tb  0.500  0.000  0.753
Tb  0.500  0.500  0.000

2.
Structure and simulated X-ray diffraction stick pattern of NdThSeN (a structure optimized by DFT (GGA-PBE); copper Kα).

Principal peaks in the range 2θ = 5–70°, in order of rising 2θ:
2θ/deg  I_rel
27.2  14
28.3  53
32.1  100
34.8  32
39.6  15
44.7  24
47.4  39
58.4  18
63.4  23
65.6  14

abc: 7.177 7.177 7.177
angles: 30.98 30.98 30.98
Positions (direct):
Nd  0.000  0.000  0.000
Th  0.535  0.535  0.535
Se  0.768  0.768  0.768
N  0.260  0.260  0.260

3.
Structure and simulated X-ray diffraction stick pattern of Y4GeO10 (a structure optimized by DFT (GGA-PBE); copper Kα).

Principal peaks in the range 2θ = 5–70°, in order of rising 2θ:
2θ/deg  I_rel
18.1  41
25.2  53
26.9  60
27.7  100
27.9  31
28.1  43
31.0  49
31.5  33
31.7  38
36.9  27

abc: 5.731 6.549 6.888
angles: 93.39 109.66 111.21
Positions (direct):
Y  0.000  0.000  0.000
Y  0.096  0.888  0.517
Y  0.397  0.657  0.106
Y  0.688  0.206  0.420
Ge  0.659  0.376  0.914
O  0.077  0.538  0.554
O  0.198  0.804  0.847
O  0.282  0.901  0.271
O  0.461  0.287  0.077
O  0.486  0.205  0.661
O  0.666  0.648  0.918
O  0.672  0.558  0.400
O  0.805  0.980  0.246
O  0.900  0.056  0.668
O  0.978  0.362  0.033

=====

# Pm3MgTl3
Theoretical X-ray diffraction stick pattern, a wavelength of 1.5418 Å. Input: a DFT-relaxed cell (GGA-PBE, Alexandria).
Neutral-atom scattering factors, no anomalous dispersion.

Main lines, most intense first (2θ from 15° to 90°):
d [Å]	Position (°2θ)	intensity
2.664	33.65	100
2.781	32.18	26
3.034	29.44	25
1.582	58.32	21
1.482	62.68	19
1.752	52.22	17
2.050	44.18	17
1.464	63.57	14
1.123	86.70	10
4.634	19.15	9
1.174	82.08	7
1.332	70.74	4

Structural model:
Cell: 9.269 9.269 5.563 Å, 90.00 90.00 120.00°
Atoms (fractional coordinates):
Pm1 0.096 0.646 0.250
Pm2 0.354 0.450 0.250
Pm3 0.450 0.096 0.750
Pm4 0.550 0.904 0.250
Pm5 0.646 0.550 0.750
Pm6 0.904 0.354 0.750
Mg1 0.333 0.667 0.750
Mg2 0.667 0.333 0.250
Tl1 0.054 0.806 0.750
Tl2 0.194 0.248 0.750
Tl3 0.248 0.054 0.250
Tl4 0.752 0.946 0.750
Tl5 0.806 0.752 0.250
Tl6 0.946 0.194 0.250


# Pm4Mg3Tl2
Theoretical X-ray diffraction stick pattern, a wavelength of 1.5418 Å. Input: a DFT-relaxed cell (GGA-PBE, Alexandria).
Neutral-atom scattering factors, no anomalous dispersion.

Main lines, most intense first (2θ from 15° to 90°):
d [Å]	Position (°2θ)	intensity
2.694	33.26	100
2.766	32.36	100
4.251	20.90	49
1.569	58.86	36
1.930	47.09	35
5.153	17.21	23
2.387	37.68	20
1.555	59.43	19
1.612	57.15	16
........
The paper emphasizes some advantages that local firms can accrue through decisions based on economic geography. The explanatory power of financial choices may be improved through models of international business that integrate teaching decisions concerning the choice of geography when setting up both head offices and subsidiaries. In answering some of these questions, the author structures the paper to evaluate the theoretical considerations behind why firms choose to locate TNCs. Moreover, it is noted that TNCs “operate in two or more countries, have the potential of being simultaneously embedded in two or more localities” (Nachum, 2000, p. 369).
The global web-like structure of TNCs further extends to the creation of external ties, supplemented by internal connectivity that links affiliates, which may also be spread across the globe. The paper provides an analysis of multiple forms of financial decision-making, but does not note taxation. This omission could lie in the choice of financial and professional services, which would link TNCs to decisions concerning a combination of legal and accounting professionals and the ability of global firms to access necessary services and support personnel. By structuring the head office well, TNCs are noted to have in-house operations and their core competencies focused so other work can be outsourced to external specialist suppliers.
The statistical model provided by the author provides a thorough analysis of many United States-based businesses. Yet, with TNCs located in many countries and not just the US, comparing choices made by firms in other locations, such as the United Kingdom and Europe, or alternatively, Asian locations, such as Japan or South Korea, would add value to the work. Additionally, two other aspects of the paper could be enhanced. First, by investigating and evaluating tax differences between the various international jurisdictions, it may be possible to analyze whether TNCs choose a location based on the amount of money paid in tax or distributed to governments.
Equally, it may be at least partially likely that firms select a location based on personal and sentimental reasons. For example, executives and the firm may have children associated with schools. While such reasoning may not seem purely logical, the actions of CEOs can be linked to decision-making processes that are purely a factor of personal concerns. This form of choice may be considered an agency problem (Cecot & Hahn, 2020), yet as Aharoni et al. (2011, p. 136) contend, “[a]ccording to prospect theorists, the framing of an outcome or a decision by economic agents affects the utility that these agents expect,” leading to a scenario where even multinational firms make decisions based on social constraints of executives.
Moreover, the social system where decisions are made will change the propensity of decision-makers and executives to choose a location. Next, aspects of behavioural theory could be integrated with this work to round out the analysis of economic decision-making with a combination of psychological or behavioral choices integrated with linked decisions associated with geography. While the overall analysis of US-based TNCs is robust, extending the questions into such alternative areas of economic research and looking beyond the United States would increase the value of the work.
Later authors (Beugelsdijk et al., 2018) have extended the work of Nachum (2000), arguing that international management is founded on the process of managing distance. Additionally, follow-up research to Nachum (2000) has examined the reshoring of firms and the choices to change location (Rasel et al., 2020), demonstrating that the combination of innovation intensity and regulatory incentives may influence choice more than technological capability in a location. While such research extends the original work, investigating alternative choices as to why a firm moves or chooses a location would be stronger if regulatory incentives and taxation were also incorporated. Overall, Nachum (2000) captures many valid reasons for the choice of location by TNCs, setting a foundation that other, later scholars have taken up.
Aharoni, Y., Tihanyi, L., & Connelly, B. L. (2011). Managerial decision-making in international business: A forty-five-year retrospective. Journal of World Business, 46(2), 135–142.
Beugelsdijk, S., Kostova, T., Kunst, V. E., Spadafora, E., & van Essen, M. (2018). Cultural Distance and Firm Internationalization: A Meta-Analytical Review and Theoretical Implications. Journal of Management, 44(1), 89–130.
Cecot, C., & Hahn, R. W. (2020). Transparency in agency cost-benefit analysis. ADMIN. L. REV., 72, 157, 158.
Nachum, L. (2000). Economic Geography and the Location of TNCs: Financial and Professional Service FDI to the USA. Journal of International Business Studies, 31(3), 367–385.
Nachum, L., & Ogbechie, C. (2023). Are environmental conditions in the eyes of the beholder? Foreign and local firms in Africa. Africa Journal of Management, 9(1), 20–45.
Nachum, L., Stevens, C. E., Newenham-Kahindi, A., Lundan, S., Rose, E. L., & Wantchekon, L. (2022). Africa rising: Opportunities for advancing theory on people, institutions, and the nation state in international business. Journal of International Business Studies.
Rasel, S., Abdulhak, I., Kalfadellis, P., & Heyden, M. L. M. (2020). Coming home and (not) moving in? Examining reshoring firms’ subnational location choices in the United States. Regional Studies, 54(5), 704–718.